=====
(1)
DFT (GGA-PBEsol) results for a geometry-optimized NaReSbTe2 structure.

Cell: 5.424 5.424 5.071 Å, 90.00 90.00 90.00°
Space group P4/mmm (No. 123)
Symmetry-distinct sites (fractional):
Na1 0.000 0.000 0.000 (multiplicity 1)
Re1 0.500 0.500 0.500 (multiplicity 1)
Sb1 0.500 0.500 0.000 (multiplicity 1)
Te1 0.000 0.500 0.500 (multiplicity 2)

Output
- total moment (μB per formula unit) = 1.073
- formation energy without anion corrections (eV/atom) = 0.439
- crystal system = tetragonal

(2)
DFT (GGA-PBEsol) results for a geometry-optimized Na2Re3Se6 structure.

Cell: 16.502 9.918 11.925 Å, 90.00 92.18 90.00°
Space group C2/c (No. 15)
Symmetry-distinct sites (fractional):
Na1 0.000 0.073 0.250 (multiplicity 4)
Na2 0.000 0.284 0.750 (multiplicity 4)
Na3 0.116 0.282 0.006 (multiplicity 8)
Re1 0.158 0.350 0.467 (multiplicity 8)
Re2 0.204 0.185 0.631 (multiplicity 8)
Re3 0.205 0.105 0.419 (multiplicity 8)
Se1 0.029 0.477 0.410 (multiplicity 8)
Se2 0.073 0.147 0.517 (multiplicity 8)
Se3 0.137 0.100 0.812 (multiplicity 8)
Se4 0.161 0.269 0.267 (multiplicity 8)
Se5 0.161 0.423 0.669 (multiplicity 8)
Se6 0.250 0.048 0.078 (multiplicity 8)

Output
- total moment (μB per formula unit) = 0.000
- formation energy without anion corrections (eV/atom) = -0.601
- crystal system = monoclinic

(3)
DFT (GGA-PBEsol) results for a geometry-optimized Na2ReSe structure.

Cell: 9.550 9.550 4.643 Å, 90.00 90.00 90.00°
Space group I-42d (No. 122)
Symmetry-distinct sites (fractional):
Na1 0.142 0.250 0.125 (multiplicity 8)
Re1 0.000 0.000 0.500 (multiplicity 4)
Se1 0.000 0.000 0.000 (multiplicity 4)

Output
- total moment (μB per formula unit) = 1.484
- formation energy without anion corrections (eV/atom) = 0.724
- crystal system = tetragonal

(4)
DFT (GGA-PBEsol) results for a geometry-optimized Na3ReSi structure.

Cell: 5.523 5.523 5.523 Å, 90.00 90.00 90.00°
Space group Pm-3m (No. 221)
Symmetry-distinct sites (fractional):
Na1 0.000 0.000 0.500 (multiplicity 3)
Re1 0.000 0.000 0.000 (multiplicity 1)
Si1 0.500 0.500 0.500 (multiplicity 1)

Output
- total moment (μB per formula unit) = 3.099
- formation energy without anion corrections (eV/atom) = 1.992
- crystal system = cubic

(5)
DFT (GGA-PBEsol) results for a geometry-optimized Na2ReSi structure.

Cell: 7.968 7.968 4.825 Å, 90.00 90.00 90.00°
Space group I-42d (No. 122)
Symmetry-distinct sites (fractional):
Na1 0.230 0.750 0.125 (multiplicity 8)
Re1 0.000 0.000 0.500 (multiplicity 4)
Si1 0.000 0.000 0.000 (multiplicity 4)

Output
- total moment (μB per formula unit) = 0.753
- formation energy without anion corrections (eV/atom) = 1.113
- crystal system = tetragonal

(6)
DFT (GGA-PBEsol) results for a geometry-optimized NaReSn2 structure.

Cell: 6.690 6.690 6.690 Å, 90.00 90.00 90.00°
Space group Fm-3m (No. 225)
Symmetry-distinct sites (fractional):
Na1 0.000 0.000 0.000 (multiplicity 4)
Re1 0.000 0.000 0.500 (multiplicity 4)
Sn1 0.250 0.250 0.250 (multiplicity 8)

Output
- E (eV/atom) = -5.401
- total moment (μB per formula unit) = 0.000
- crystal system = cubic

(7)
DFT (GGA-PBEsol) results for a geometry-optimized NaSr3Re structure.

Cell: 5.858 5.858 5.858 Å, 90.00 90.00 90.00°
Space group Pm-3m (No. 221)
Symmetry-distinct sites (fractional):
Na1 0.000 0.000 0.000 (multiplicity 1)
Sr1 0.000 0.500 0.500 (multiplicity 3)
Re1 0.500 0.500 0.500 (multiplicity 1)

Output
- E (eV/atom) = -3.345
- total moment (μB per formula unit) = 0.701
- crystal system = cubic

(8)
DFT (GGA-PBEsol) results for a geometry-optimized NaReTe2 structure.

Cell: 6.779 6.779 6.779 Å, 90.00 90.00 90.00°
Space group Fm-3m (No. 225)
Symmetry-distinct sites (fractional):
Na1 0.000 0.000 0.000 (multiplicity 4)
Re1 0.000 0.000 0.500 (multiplicity 4)
Te1 0.250 0.250 0.250 (multiplicity 8)

Output
- total moment (μB per formula unit) = 0.000
- formation energy without anion corrections (eV/atom) = 0.242
- E above lowest polymorph (meV per atom) = 0.0
- crystal system = cubic

> What is the total moment in the sixth record?
=====
Please work out how many lines earlier on have the word "Se3" in them; a number is enough.
1